(Given)
=====
[1]
## FeCoAu2 (GGA-PBE)

Data for a geometry-optimized FeCoAu2 structure.

abc: 2.8078 3.8581 5.5247
angles: 90.00 90.00 90.00
Element x y z (fractional)
Au 0.0000 0.0000 0.4984
Au 0.0000 0.0000 0.0016
Co 0.5000 0.5000 0.2500
Fe 0.5000 0.5000 0.7500

Values from the calculation:
density of states at the Fermi level = 1.09 states/eV per atom
raw total energy = -21.26 eV per cell
total magnetization = 4.628 μB/f.u.

---

[2]
## FeCoAu (GGA-PBE)

Data for a geometry-optimized FeCoAu structure.

abc: 4.2324 4.2324 2.6809
angles: 90.00 90.00 120.00
Element x y z (fractional)
Au 0.0000 0.0000 0.9922
Co 0.3333 0.6667 0.4297
Fe 0.6667 0.3333 0.5781

Values from the calculation:
density of states at the Fermi level = 0.80 states/eV per atom
raw total energy = -18.25 eV per cell
total magnetization = 4.597 μB/f.u.

---

[3]
## FeCoAu2 (GGA-PBE)

Data for a geometry-optimized FeCoAu2 structure.

abc: 3.9285 3.9287 3.8694
angles: 90.00 90.00 90.00
Element x y z (fractional)
Au 0.5000 0.5000 0.0000
Au 0.0000 0.0000 0.0000
Fe 0.0000 0.5000 0.5000
Co 0.5000 0.0000 0.5000

Values from the calculation:
density of states at the Fermi level = 0.81 states/eV per atom
raw total energy = -21.31 eV per cell
total magnetization = 4.638 μB/f.u.

---

[4]
## FeCoAu2 (GGA-PBE)

Data for a geometry-optimized FeCoAu2 structure.

abc: 4.7626 4.7626 4.7912
angles: 80.02 80.02 34.51
Element x y z (fractional)
Co 0.7500 0.7500 0.7500
Fe 0.2500 0.2500 0.2500
Au 0.4987 0.4987 0.5012
Au 0.0013 0.0013 0.9988

Values from the calculation:
density of states at the Fermi level = 1.05 states/eV per atom
raw total energy = -21.03 eV per cell
total magnetization = 4.659 μB/f.u.

---

[5]
## FeCoAu2 (GGA-PBE)

Data for a geometry-optimized FeCoAu2 structure.

abc: 6.2097 4.7737 2.7916
angles: 90.07 63.17 121.23
Element x y z (fractional)
Co 0.0000 0.5000 0.5000
Au 0.0000 0.0000 0.0000
Au 0.5000 0.0000 0.5000
Fe 0.5000 0.5000 0.0000

Values from the calculation:
density of states at the Fermi level = 0.95 states/eV per atom
raw total energy = -21.26 eV per cell
total magnetization = 4.882 μB/f.u.

---

[6]
## FeCo2Au (GGA-PBE)

Data for a geometry-optimized FeCo2Au structure.

abc: 2.9380 2.8742 6.8079
angles: 65.14 90.00 90.00
Element x y z (fractional)
Au 0.5000 0.7500 0.7500
Co 0.0000 0.9623 0.0378
Co 0.0000 0.5377 0.4622
Fe 0.5000 0.2500 0.2500

Values from the calculation:
density of states at the Fermi level = 0.94 states/eV per atom
raw total energy = -25.52 eV per cell
total magnetization = 6.014 μB/f.u.

---

[7]
## FeCo2Au (GGA-PBE)

Data for a geometry-optimized FeCo2Au structure.

abc: 6.7036 6.7036 5.3786
angles: 51.45 51.45 90.00
Element x y z (fractional)
Fe 0.2500 0.7500 0.5000
Fe 0.5000 0.5000 0.0000
Co 0.8750 0.8454 0.7500
Co 0.5954 0.1250 0.2500
Co 0.1546 0.6250 0.2500
Co 0.3750 0.4046 0.7500
Au 0.0000 0.0000 0.0000
Au 0.7500 0.2500 0.5000

Values from the calculation:
density of states at the Fermi level = 1.26 states/eV per atom
raw total energy = -47.66 eV per cell
total magnetization = 6.316 μB/f.u.

---

[8]
## FeCoAu2 (GGA-PBE)

Data for a geometry-optimized FeCoAu2 structure.

abc: 4.8946 4.8946 4.8946
angles: 137.69 129.41 68.01
Element x y z (fractional)
Co 0.4758 0.4758 0.0000
Fe 0.2745 0.7745 0.5000
Au 0.0098 0.0098 0.0000
Au 0.7399 0.2399 0.5000

Values from the calculation:
density of states at the Fermi level = 0.63 states/eV per atom
raw total energy = -21.49 eV per cell
total magnetization = 4.678 μB/f.u.

* * * * *

# Na2V3O7, relaxed, DFT GGA+U
data_Na2V3O7
_chemical_formula_sum 'Na12 V18 O42'
_cell_length_a 11.0786
_cell_length_b 11.0786
_cell_length_c 9.7074
_cell_angle_alpha 90.00
_cell_angle_beta 90.00
_cell_angle_gamma 120.00
_space_group_name_H-M_alt 'P -3'
_space_group_IT_number 147
loop_
_space_group_symop_operation_xyz
'x,y,z'
'-x,-y,-z'
'-y,x-y,z'
'y,-x+y,-z'
'-x+y,-x,z'
'x-y,x,-z'
loop_
_atom_site_label
_atom_site_fract_x
_atom_site_fract_y
_atom_site_fract_z
_atom_site_occupancy
Na1 0.0000 0.0000 0.0000 1
=====

(Job)
Could you restate all of the data earlier on exactly?

(Worked solution)
[1]
## FeCoAu2 (GGA-PBE)

Data for a geometry-optimized FeCoAu2 structure.

abc: 2.8078 3.8581 5.5247
angles: 90.00 90.00 90.00
Element x y z (fractional)
Au 0.0000 0.0000 0.4984
Au 0.0000 0.0000 0.0016
Co 0.5000 0.5000 0.2500
Fe 0.5000 0.5000 0.7500

Values from the calculation:
density of states at the Fermi level = 1.09 states/eV per atom
raw total energy = -21.26 eV per cell
total magnetization = 4.628 μB/f.u.

---

[2]
## FeCoAu (GGA-PBE)

Data for a geometry-optimized FeCoAu structure.

abc: 4.2324 4.2324 2.6809
angles: 90.00 90.00 120.00
Element x y z (fractional)
Au 0.0000 0.0000 0.9922
Co 0.3333 0.6667 0.4297
Fe 0.6667 0.3333 0.5781

Values from the calculation:
density of states at the Fermi level = 0.80 states/eV per atom
raw total energy = -18.25 eV per cell
total magnetization = 4.597 μB/f.u.

---

[3]
## FeCoAu2 (GGA-PBE)

Data for a geometry-optimized FeCoAu2 structure.

abc: 3.9285 3.9287 3.8694
angles: 90.00 90.00 90.00
Element x y z (fractional)
Au 0.5000 0.5000 0.0000
Au 0.0000 0.0000 0.0000
Fe 0.0000 0.5000 0.5000
Co 0.5000 0.0000 0.5000

Values from the calculation:
density of states at the Fermi level = 0.81 states/eV per atom
raw total energy = -21.31 eV per cell
total magnetization = 4.638 μB/f.u.

---

[4]
## FeCoAu2 (GGA-PBE)

Data for a geometry-optimized FeCoAu2 structure.

abc: 4.7626 4.7626 4.7912
angles: 80.02 80.02 34.51
Element x y z (fractional)
Co 0.7500 0.7500 0.7500
Fe 0.2500 0.2500 0.2500
Au 0.4987 0.4987 0.5012
Au 0.0013 0.0013 0.9988

Values from the calculation:
density of states at the Fermi level = 1.05 states/eV per atom
raw total energy = -21.03 eV per cell
total magnetization = 4.659 μB/f.u.

---

[5]
## FeCoAu2 (GGA-PBE)

Data for a geometry-optimized FeCoAu2 structure.

abc: 6.2097 4.7737 2.7916
angles: 90.07 63.17 121.23
Element x y z (fractional)
Co 0.0000 0.5000 0.5000
Au 0.0000 0.0000 0.0000
Au 0.5000 0.0000 0.5000
Fe 0.5000 0.5000 0.0000

Values from the calculation:
density of states at the Fermi level = 0.95 states/eV per atom
raw total energy = -21.26 eV per cell
total magnetization = 4.882 μB/f.u.

---

[6]
## FeCo2Au (GGA-PBE)

Data for a geometry-optimized FeCo2Au structure.

abc: 2.9380 2.8742 6.8079
angles: 65.14 90.00 90.00
Element x y z (fractional)
Au 0.5000 0.7500 0.7500
Co 0.0000 0.9623 0.0378
Co 0.0000 0.5377 0.4622
Fe 0.5000 0.2500 0.2500

Values from the calculation:
density of states at the Fermi level = 0.94 states/eV per atom
raw total energy = -25.52 eV per cell
total magnetization = 6.014 μB/f.u.

---

[7]
## FeCo2Au (GGA-PBE)

Data for a geometry-optimized FeCo2Au structure.

abc: 6.7036 6.7036 5.3786
angles: 51.45 51.45 90.00
Element x y z (fractional)
Fe 0.2500 0.7500 0.5000
Fe 0.5000 0.5000 0.0000
Co 0.8750 0.8454 0.7500
Co 0.5954 0.1250 0.2500
Co 0.1546 0.6250 0.2500
Co 0.3750 0.4046 0.7500
Au 0.0000 0.0000 0.0000
Au 0.7500 0.2500 0.5000

Values from the calculation:
density of states at the Fermi level = 1.26 states/eV per atom
raw total energy = -47.66 eV per cell
total magnetization = 6.316 μB/f.u.

---

[8]
## FeCoAu2 (GGA-PBE)

Data for a geometry-optimized FeCoAu2 structure.

abc: 4.8946 4.8946 4.8946
angles: 137.69 129.41 68.01
Element x y z (fractional)
Co 0.4758 0.4758 0.0000
Fe 0.2745 0.7745 0.5000
Au 0.0098 0.0098 0.0000
Au 0.7399 0.2399 0.5000

Values from the calculation:
density of states at the Fermi level = 0.63 states/eV per atom
raw total energy = -21.49 eV per cell
total magnetization = 4.678 μB/f.u.

* * * * *

# Na2V3O7, relaxed, DFT GGA+U
data_Na2V3O7
_chemical_formula_sum 'Na12 V18 O42'
_cell_length_a 11.0786
_cell_length_b 11.0786
_cell_length_c 9.7074
_cell_angle_alpha 90.00
_cell_angle_beta 90.00
_cell_angle_gamma 120.00
_space_group_name_H-M_alt 'P -3'
_space_group_IT_number 147
loop_
_space_group_symop_operation_xyz
'x,y,z'
'-x,-y,-z'
'-y,x-y,z'
'y,-x+y,-z'
'-x+y,-x,z'
'x-y,x,-z'
loop_
_atom_site_label
_atom_site_fract_x
_atom_site_fract_y
_atom_site_fract_z
_atom_site_occupancy
Na1 0.0000 0.0000 0.0000 1